Efficient. Doing something well and shortly with no waste of time, money or energy. Mean. The way of achieving or doing something. Communication. The activity of progress, of expressing ideas and feel or give people Information. Cell holder. Shareholder. An owner of cells in a company or bu...
(These records of crystals were left in the article by mistake)
<<<
Record 1
Theoretical X-ray powder pattern
Compound: Li8Tl6Au
Radiation: Cu Kα, 1.54184 Å
Structure: DFT lattice parameters and positions (GGA-PBE)
Neutral-atom scattering factors, no anomalous dispersion.

Structure:
```
data_Li8Tl6Au
_chemical_formula_sum 'Li8 Tl6 Au1'
_space_group_name_H-M_alt 'P 1'
_space_group_IT_number 1
_cell_length_a 7.5004
_cell_length_b 7.5004
_cell_length_c 7.5004
_cell_angle_alpha 63.29
_cell_angle_beta 63.29
_cell_angle_gamma 63.29
loop_
_space_group_symop_operation_xyz
'x,y,z'
loop_
_atom_site_label
_atom_site_type_symbol
_atom_site_fract_x
_atom_site_fract_y
_atom_site_fract_z
Li1 Li 0.0905 0.0905 0.0905
Li2 Li 0.1658 0.6399 0.3377
Li3 Li 0.3377 0.1658 0.6399
Li4 Li 0.3601 0.6623 0.8342
Li5 Li 0.6399 0.3377 0.1658
Li6 Li 0.6623 0.8342 0.3601
Li7 Li 0.8342 0.3601 0.6623
Li8 Li 0.9095 0.9095 0.9095
Tl1 Tl 0.0330 0.5206 0.7764
Tl2 Tl 0.2236 0.9670 0.4794
Tl3 Tl 0.4794 0.2236 0.9670
Tl4 Tl 0.5206 0.7764 0.0330
Tl5 Tl 0.7764 0.0330 0.5206
Tl6 Tl 0.9670 0.4794 0.2236
Au1 Au 0.5000 0.5000 0.5000
```

Peak list (12 most intense, 5 to 70 degrees two-theta, in order of rising 2θ)
d_spacing  I_rel
5.967  75.9
3.741  29.7
3.285  100.0
3.185  29.0
2.550  65.7
2.476  33.8
2.378  57.4
2.272  18.1
2.233  16.0
2.091  28.1
1.689  16.4
1.558  16.6


Record 2
Theoretical X-ray powder pattern
Compound: Li6TlAu6
Radiation: Cu Kα, 1.54184 Å
Structure: DFT lattice parameters and positions (GGA-PBE)
Neutral-atom scattering factors, no anomalous dispersion.

Structure:
```
data_Li6TlAu6
_chemical_formula_sum 'Li6 Tl1 Au6'
_space_group_name_H-M_alt 'P 1'
_space_group_IT_number 1
_cell_length_a 5.5829
_cell_length_b 5.5829
_cell_length_c 8.9353
_cell_angle_alpha 90.00
_cell_angle_beta 90.00
_cell_angle_gamma 120.00
loop_
_space_group_symop_operation_xyz
'x,y,z'
loop_
_atom_site_label
_atom_site_type_symbol
_atom_site_fract_x
_atom_site_fract_y
_atom_site_fract_z
Li1 Li 0.0000 0.0000 0.1787
Li2 Li 0.0000 0.0000 0.8213
Li3 Li 0.3333 0.6667 0.0000
Li4 Li 0.3333 0.6667 0.5000
Li5 Li 0.6667 0.3333 0.0000
Li6 Li 0.6667 0.3333 0.5000
Tl1 Tl 0.0000 0.0000 0.5000
Au1 Au 0.0000 0.5000 0.2478
Au2 Au 0.0000 0.5000 0.7522
Au3 Au 0.5000 0.0000 0.2478
Au4 Au 0.5000 0.0000 0.7522
Au5 Au 0.5000 0.5000 0.2478
Au6 Au 0.5000 0.5000 0.7522
```

Peak list (12 most intense, 5 to 70 degrees two-theta, in order of rising 2θ)
d_spacing  I_rel
8.935  12.0
4.835  11.1
4.468  76.7
4.252  17.6
3.281  77.8
2.417  100.0
2.367  36.3
2.234  27.3
2.126  72.8
1.691  23.8
1.641  60.8
1.396  19.1


Record 3
Theoretical X-ray powder pattern
Compound: LiTm6Au5
Radiation: Cu Kα, 1.54184 Å
Structure: DFT lattice parameters and positions (GGA-PBE)
Neutral-atom scattering factors, no anomalous dispersion.

Structure:
```
data_LiTm6Au5
_chemical_formula_sum 'Li1 Tm6 Au5'
_space_group_name_H-M_alt 'P 1'
_space_group_IT_number 1
_cell_length_a 8.7637
_cell_length_b 8.7637
_cell_length_c 8.7637
_cell_angle_alpha 146.97
_cell_angle_beta 132.04
_cell_angle_gamma 59.47
loop_
>>>
"How much money did you make last year?" What is wrong with that statement? What does Robert Lucas say about the best way to help poor people? What are the costs and consequences of providing welfare? What kind of revenue and margins does a cannabis shop make? How can the money ...
121,—()—She gave two weeks.-->(How much time did she give?) 122,—()—To sum up, it is a continual process, from a new-born baby to the end of one's life.-->(What does Community Health Service mean exactly?) 123,—()—We have three major divisions:-->(How many ...
I’ve given away money to charities over the years. You may have too, and millionaires and billionaires are no different. They want to give cash to causes they care about, but they just do it on a much larger scale, because they have the means to. A lot of rich people give away th...
If a company does not comply with one of the above criteria, it receives a middle rating (where no animal welfare/testing criticisms have been found) or a bottom rating (where animal welfare/testing criticisms have been found). *Cleaning Products,Laundry Detergents,Make-up,Shampoo & Conditioner...
Similarly, BC has income assistance programs, as Alberta does with Income Support. Building savings in a Tax-Free Savings Account (TFSA) within your welfare limits can help build a financial buffer and create a sense of security. Leveraging Financial Tools and Resources Saving money doesn’t ...
United States writer of welfare forest in the how to become a billionaire in the pointed out that to become a billionaire, one of the great secret is very thick in order to exercise. In the interpretation of this secret, welfare forest is an example of Sam Walton: he often disrupt the ...
How does scarcity affect society? What are the problems of income inequality in the U.S. economy? What is the effect of subsidies on the welfare of consumers? Has income inequality changes in the U. S. over time? If yes, what are the factors that cause change?
Chancellor is "focused on getting more money in people's pockets" - our mortgage has gone up by £1,200 a month due to inflation and the Bank of England. Does the chancellor think a few quid here and there is going to make any difference? Everything they've done is causing...
often called “(c)(4)s,” a reference to their designation section in the tax code; and Super PACs. Traditional PACs are transparent about their contributors and do not attract dark money. Social welfare organizations comprise